Given >
(1)
# Pu2AlZn16
Theoretical PXRD pattern, Cu Kα X-rays. Input: DFT lattice parameters and positions (GGA-PBE).

Structural model:
Cell: 9.0212 9.0212 13.2282 Å, 90.00 90.00 120.00°
Space group R3m (No. 160, hexagonal axes)
One atom of each set of equivalent atoms:
Pu1 0.0000 0.0000 0.0000
Pu2 0.0000 0.0000 0.3295
Al1 0.0000 0.0000 0.7640
Zn1 0.0000 0.0000 0.5644
Zn2 0.0000 0.2977 0.6651
Zn3 0.0025 0.5013 0.1651
Zn4 0.0100 0.5050 0.8169
Zn5 0.1715 0.3430 0.8472

The 8 most intense peaks (5 to 70 degrees two-theta), by angle:
d [Å]	I/Imax	(hkl)
3.153	48	1 1 3
2.604	38	3 0 0
2.524	20	0 2 4
2.255	51	2 2 0
2.242	100	0 3 3
2.204	42	0 0 6
1.590	23	4 1 3
1.576	24	2 2 6

***

(2)
# Ba2TiAlTe5
Theoretical PXRD pattern, Cu Kα X-rays. Input: DFT lattice parameters and positions (GGA-PBE).

Structural model:
Cell: 4.4351 20.2682 13.9637 Å, 90.00 90.00 90.00°
Space group Cmc2_1 (No. 36)
One atom of each set of equivalent atoms:
Ba1 0.0000 0.1263 0.0000
Ba2 0.0000 0.1287 0.6191
Ti1 0.0000 0.2103 0.3328
Al1 0.0000 0.4312 0.7412
Te1 0.0000 0.0586 0.3504
Te2 0.0000 0.2957 0.9597
Te3 0.0000 0.3050 0.6897
Te4 0.0000 0.3449 0.3117
Te5 0.0000 0.4971 0.5820

The 8 most intense peaks (5 to 70 degrees two-theta), by angle:
d [Å]	I/Imax	(hkl)
3.428	23	0 4 3
3.278	91	0 6 1
3.171	100	1 1 3
2.992	41	1 5 0
2.750	18	1 5 2
2.692	17	0 2 5
2.218	28	2 0 0
1.991	27	1 7 4

***

(3)
# Ag2Te8Pd3
Theoretical PXRD pattern, Cu Kα X-rays. Input: DFT lattice parameters and positions (GGA-PBE).

Structural model:
Cell: 11.7263 8.1408 7.5881 Å, 90.00 101.01 90.00°
Space group C2/m (No. 12)
One atom of each set of equivalent atoms:
Ag1 0.1899 0.0000 0.0716
Te1 0.1180 0.2716 0.8486
Te2 0.1223 0.5000 0.3683
Te3 0.1287 0.0000 0.4142
Pd1 0.0000 0.2566 0.5000
Pd2 0.0000 0.5000 0.0000

The 8 most intense peaks (5 to 70 degrees two-theta), by angle:
d [Å]	I/Imax	(hkl)
3.168	100	2 2 -1
2.883	66	2 0 2
2.349	53	4 2 -1
2.146	48	4 2 1
2.120	41	0 2 3
2.103	38	2 2 -3
2.035	36	0 4 0
1.856	36	6 0 -2

***

(4)
# Li12Zn7Au
Theoretical PXRD pattern, Cu Kα X-rays. Input: DFT lattice parameters and positions (GGA-PBE).

Structural model:
Cell: 10.8559 10.8559 9.5200 Å, 90.00 90.00 120.00°
Space group R-3m (No. 166, hexagonal axes)
One atom of each set of equivalent atoms:
Li1 0.0000 0.2629 0.0000
Li2 0.0839 0.1678 0.7458
Zn1 0.0000 0.0000 0.0000
Zn2 0.0490 0.5245 0.1237
Au1 0.0000 0.0000 0.5000

The 8 most intense peaks (5 to 70 degrees two-theta), by angle:
d [Å]	I/Imax	(hkl)
6.689	100	1 0 1
5.428	18	1 1 0
4.247	53	0 1 2
2.714	47	2 2 0
2.307	19	1 0 4
2.286	26	3 1 2
2.104	34	3 2 1
1.965	34	2 3 2

***

(5)
# TlCdHgTe
Theoretical PXRD pattern, Cu Kα X-rays. Input: DFT lattice parameters and positions (GGA-PBE).

Structural model:
Cell: 7.7907 7.7907 7.7907 Å, 90.00 90.00 90.00°
Space group F-43m (No. 216)
One atom of each set of equivalent atoms:
Tl1 0.0000 0.0000 0.0000
Cd1 0.0000 0.0000 0.5000
Hg1 0.2500 0.2500 0.2500
Te1 0.2500 0.2500 0.7500

The 8 most intense peaks (5 to 70 degrees two-theta), by angle:
d [Å]	I/Imax	(hkl)
4.498	7	1 1 1
2.754	100	2 2 0
2.349	4	3 1 1
1.948	18	4 0 0
1.787	2	3 3 1
1.590	38	4 2 2
1.499	2	5 1 1
1.377	12	4 4 0

***

(6)
# Na6AgHg2
Theoretical PXRD pattern, Cu Kα X-rays. Input: DFT lattice parameters and positions (GGA-PBE).

Structural model:
Cell: 5.3559 5.3559 31.1261 Å, 90.00 90.00 120.00°
Space group R-3m (No. 166, hexagonal axes)
One atom of each set of equivalent atoms:
Na1 0.0000 0.0000 0.0802
Na2 0.0000 0.0000 0.1971
Na3 0.0000 0.0000 0.3079
Ag1 0.0000 0.0000 0.5000
Hg1 0.0000 0.0000 0.4088

The 8 most intense peaks (5 to 70 degrees two-theta), by angle:
d [Å]	I/Imax	(hkl)
5.188	19	0 0 6
4.588	100	1 0 1
4.445	29	0 1 2
3.719	20	0 1 5
2.678	69	1 1 0
2.585	45	1 0 10
2.416	29	0 1 11
1.862	39	0 2 10

***

(7)
# Cs3Ca2PuCl9
Theoretical PXRD pattern, Cu Kα X-rays. Input: DFT lattice parameters and positions (GGA-PBE).

Structural model:
Cell: 7.8166 7.8166 9.5848 Å, 90.00 90.00 120.00°
Space group P-3m1 (No. 164)
One atom of each set of equivalent atoms:

Assignment >
Print the lines further up up to the one that holds "Li12Zn7Au", that line included.

Solution >
(1)
# Pu2AlZn16
Theoretical PXRD pattern, Cu Kα X-rays. Input: DFT lattice parameters and positions (GGA-PBE).

Structural model:
Cell: 9.0212 9.0212 13.2282 Å, 90.00 90.00 120.00°
Space group R3m (No. 160, hexagonal axes)
One atom of each set of equivalent atoms:
Pu1 0.0000 0.0000 0.0000
Pu2 0.0000 0.0000 0.3295
Al1 0.0000 0.0000 0.7640
Zn1 0.0000 0.0000 0.5644
Zn2 0.0000 0.2977 0.6651
Zn3 0.0025 0.5013 0.1651
Zn4 0.0100 0.5050 0.8169
Zn5 0.1715 0.3430 0.8472

The 8 most intense peaks (5 to 70 degrees two-theta), by angle:
d [Å]	I/Imax	(hkl)
3.153	48	1 1 3
2.604	38	3 0 0
2.524	20	0 2 4
2.255	51	2 2 0
2.242	100	0 3 3
2.204	42	0 0 6
1.590	23	4 1 3
1.576	24	2 2 6

***

(2)
# Ba2TiAlTe5
Theoretical PXRD pattern, Cu Kα X-rays. Input: DFT lattice parameters and positions (GGA-PBE).

Structural model:
Cell: 4.4351 20.2682 13.9637 Å, 90.00 90.00 90.00°
Space group Cmc2_1 (No. 36)
One atom of each set of equivalent atoms:
Ba1 0.0000 0.1263 0.0000
Ba2 0.0000 0.1287 0.6191
Ti1 0.0000 0.2103 0.3328
Al1 0.0000 0.4312 0.7412
Te1 0.0000 0.0586 0.3504
Te2 0.0000 0.2957 0.9597
Te3 0.0000 0.3050 0.6897
Te4 0.0000 0.3449 0.3117
Te5 0.0000 0.4971 0.5820

The 8 most intense peaks (5 to 70 degrees two-theta), by angle:
d [Å]	I/Imax	(hkl)
3.428	23	0 4 3
3.278	91	0 6 1
3.171	100	1 1 3
2.992	41	1 5 0
2.750	18	1 5 2
2.692	17	0 2 5
2.218	28	2 0 0
1.991	27	1 7 4

***

(3)
# Ag2Te8Pd3
Theoretical PXRD pattern, Cu Kα X-rays. Input: DFT lattice parameters and positions (GGA-PBE).

Structural model:
Cell: 11.7263 8.1408 7.5881 Å, 90.00 101.01 90.00°
Space group C2/m (No. 12)
One atom of each set of equivalent atoms:
Ag1 0.1899 0.0000 0.0716
Te1 0.1180 0.2716 0.8486
Te2 0.1223 0.5000 0.3683
Te3 0.1287 0.0000 0.4142
Pd1 0.0000 0.2566 0.5000
Pd2 0.0000 0.5000 0.0000

The 8 most intense peaks (5 to 70 degrees two-theta), by angle:
d [Å]	I/Imax	(hkl)
3.168	100	2 2 -1
2.883	66	2 0 2
2.349	53	4 2 -1
2.146	48	4 2 1
2.120	41	0 2 3
2.103	38	2 2 -3
2.035	36	0 4 0
1.856	36	6 0 -2

***

(4)
# Li12Zn7Au